Cell signaling classification system gives researchers new tool

Using ever-growing genome data, scientists with the Department of Energy's (DOE) Oak Ridge National Laboratory and the University of Tennessee are tracing the evolution of the bacterial regulatory system that controls cellular motility, potentially giving researchers a method for predicting important cellular functions that will impact both medical and biotechnology research.

A new study from the Joint Institute for Computational Sciences, a research venture between ORNL and UT, has demonstrated how knowledge of biological systems can be derived by computational interrogation of genomic sequences. The results have implications for areas ranging from medicine to bioenergy.

"We now have hundreds of millions of DNA sequences from all sorts of organisms deposited in databases. However, our abilities to translate raw genomic data into useful knowledge are still very limited," said Igor Zhulin, joint faculty professor and principal investigator.

"We applied our computational skills to glean more information about a biological system that has fascinated researchers for more than a century. This is a molecular signal transduction system that allows bacteria to navigate in the environment pretty much in the same way that higher organisms, including humans, do—by detecting signals (e.g., visual or chemical cues) and then moving toward favorable environments and away from dangerous ones."

In general, signal transduction systems in bacteria are very simple, consisting of only one or two proteins that regulate expression of various genes in response to changes in the environment. The navigation system, however, is significantly more complex and in some bacteria may involve dozens of different proteins.

How such complexity arose was unknown before this study, which has discovered intermediate signaling systems in bacteria that contain elements of both simple systems that regulate gene expression and the complex navigation system. This provides an argument for the gradual evolution of the navigation system from well-known transcriptional regulators that are much simpler in design, Zhulin said.

Because the navigation system of bacteria has been studied by scientists employing the latest advances in genetics, biochemistry, biophysics, structural biology and other traditional biological disciplines, the system has become one of the best understood molecular systems in nature.

-- The page is interrupted by records of crystals --
-- begin --
Entry 1:
# HfZr3 | the Materials Project database | GGA-PBE | relaxed
data_HfZr3
_cell_length_a 6.4515
_cell_length_b 6.4515
_cell_length_c 5.1676
_cell_angle_alpha 90.00
_cell_angle_beta 90.00
_cell_angle_gamma 120.00
_symmetry_space_group_name_H-M 'P 63/m m c'
_symmetry_Int_Tables_number 194
_symmetry_space_group_name_Hall '-P 6c 2c'
loop_
_atom_site_label
_atom_site_fract_x
_atom_site_fract_y
_atom_site_fract_z
_atom_site_occupancy
Hf1 0.3333 0.6667 0.2500 1
Zr1 0.1671 0.3341 0.7500 1
# ΔE_f, eV/atom: 0.00
# Crystal system: hexagonal



Entry 2:
# HoHg2 | the Materials Project database | GGA-PBE | relaxed
data_HoHg2
_cell_length_a 4.9486
_cell_length_b 4.9486
_cell_length_c 3.4306
_cell_angle_alpha 90.00
_cell_angle_beta 90.00
_cell_angle_gamma 120.00
_symmetry_space_group_name_H-M 'P 6/m m m'
_symmetry_Int_Tables_number 191
_symmetry_space_group_name_Hall '-P 6 2'
loop_
_atom_site_label
_atom_site_fract_x
_atom_site_fract_y
_atom_site_fract_z
_atom_site_occupancy
Ho1 0.0000 0.0000 0.0000 1
Hg1 0.3333 0.6667 0.5000 1
# ΔE_f, eV/atom: -0.37
# Crystal system: hexagonal

~~~~~

[1]
{"formula": "KSrNdSeO6", "functional": "GGA-PBE", "state": "relaxed", "energy_ev_per_cell": -60.494, "m_tot_mub_per_cell": 0.0, "cell": [[4.272, -0.348, -3.982], [-1.324, -0.330, -5.689], [1.090, 4.540, -3.525]], "species": ["Nd", "Se", "K", "O", "O", "O", "Sr", "O", "O", "O"], "fractional_positions": [[0.000, 0.000, 0.000], [0.500, 0.500, 0.500], [0.750, 0.750, 0.750], [0.278, 0.722, 0.722], [0.278, 0.278, 0.722], [0.722, 0.722, 0.278], [0.250, 0.250, 0.250], [0.722, 0.278, 0.278], [0.278, 0.722, 0.278], [0.722, 0.278, 0.722]]}

---

[2]
-- stop --

"We took advantage of this knowledge," said Kristin Wuichet, a postdoctoral fellow, who carried out the computational work. "Without it we would be unable to mine the genomic data intelligently."

Wuichet sifted through trillions of letters of the DNA code to extract sequences encoding each component of this navigation system. Then, Wuichet and Zhulin designed a computational approach to classify these sequences by applying a variety of bioinformatics tools in a logical, step-by-step procedure.

"By using diverse computational methods, this study has revealed in remarkable detail how a simple two-component signaling pathway can evolve into complex systems like the ones that govern bacterial chemotaxis," said James Anderson of the National Institutes of Health (NIH), who oversees gene regulatory network grants at the NIH's National Institute of General Medical Sciences, which supported this work. "This computational approach will be of enormous value in uncovering the inner workings of beneficial and pathogenic microorganisms that cannot be studied using traditional laboratory methods."

The study has revealed more than a dozen versions of this navigation system and assigned hundreds of bacterial species to each of them. "To use a metaphor, one can compare this system to types of cars," Zhulin explained. "Imagine, if you would have only seen two types of cars in your life, say a small two-door sedan and a mid-size SUV. By comparing the two, you might guess that there can be other types of cars out there, but you wouldn't know exactly what they are. Prior to our study, we knew exact details of only two types of navigation system from two model organisms. Simply put, our work reveals that there are all kinds of things on the roads—luxury sedans, minivans, roadsters, pick-up trucks, and we know which bug is in which vehicle."

Zhulin said the findings "will allow predicting how individual bacteria will use their 'vehicle' to get where they want to be, which is very important in order to be able to fight pathogenic organisms that direct their movement toward weak spots of our bodies."

At the same time, ORNL researchers are making use of the findings in advanced bioenergy research.

"These same issues of microbial 'navigation,' or so-called chemotaxis, are important for microbial processing of biofuels," said Paul Gilna, director of the ORNL-led DOE BioEnergy Science Center (BESC), a DOE Bioenergy Research Center supported by the Department's Office of Science. "That's why we were pleased to co-sponsor this research with the National Institutes of Health and leverage NIH resources to learn more about this process."

BESC is searching for new cost-effective ways, using microbes, to convert plant cellulose to biofuels, a "green" alternative to oil and coal.

"Cellulases from microbial sources are key enzymes in this process and come in different shapes and forms that are difficult to decipher from DNA sequence alone," said Gilna. "This study gives us a powerful computational approach that we can now use to reveal new types of cellulolytic enzymes, as well as provide us with deeper insights into complex regulatory pathways that control their activity."

"This work could significantly aid in our goal of producing microbes that are capable of carrying out all the steps in processing fuels from plant feedstocks," Gilna added. "In this approach, which we term Consolidated BioProcessing, or CBP, we are working to develop microbes that can both deconstruct plant cellulosic components as well as process the released sugars into biofuels. Understanding better how such microbes can locate their respective substrates in a large biofermenter will greatly enable us to tune the efficiency of such processes, which could lead to profound improvements at a national level in the costs of producing biofuels."